Activity.
It remains to find "-44.6 eV" and "Material: KMn2PbBr8" in the rows underneath, and retype these two lines and those between.

Given.
=====
No. 1
Material: Ca3Sn3Hg
Method: DFT, PBE
State: optimized geometry

a = 4.836 Å, b = 6.268 Å, c = 14.806 Å
α = 83.43°, β = 80.60°, γ = 67.31°
Sites, in units of the cell vectors:
Ca  0.400  0.277  0.923
Ca  0.268  0.239  0.225
Ca  0.531  0.316  0.622
Ca  0.469  0.684  0.378
Ca  0.600  0.723  0.077
Ca  0.732  0.761  0.775
Sn  0.117  0.840  0.925
Sn  0.883  0.160  0.075
Sn  0.865  0.732  0.537
Sn  0.135  0.268  0.463
Sn  0.013  0.200  0.774
Sn  0.987  0.800  0.226
Hg  0.758  0.108  0.376
Hg  0.242  0.892  0.624

VASP energy = -44.6 eV for the cell shown
Calculated formation energy = -0.568 eV/atom


No. 2
Material: KMn2PbBr8
Method: DFT, PBE
State: optimized geometry

a = 7.084 Å, b = 7.084 Å, c = 10.046 Å
α = 90.00°, β = 90.00°, γ = 120.00°
Last column: magnetic moment on the atom in μB.
Sites, in units of the cell vectors:
Br  0.669  0.668  0.691  0.02
Br  0.332  0.001  0.691  0.02
Br  0.001  0.669  0.309  0.02
Br  0.668  0.999  0.309  0.02
Br  0.333  0.667  0.991  0.02
Br  0.999  0.331  0.691  0.02
Br  0.667  0.333  0.009  0.02
Br  0.331  0.332  0.309  0.02
Pb  0.000  0.000  0.500  0.01
Mn  0.333  0.667  0.754  4.01
Mn  0.667  0.333  0.246  4.01
K  0.000  0.000  0.000  0.00

VASP energy = -47.2 eV for the cell shown
Formation energy without anion corrections = -0.89 eV per atom


No. 3
Material: PuNp2I8
Method: DFT, PBE
State: optimized geometry

a = 4.221 Å, b = 10.440 Å, c = 11.504 Å
α = 89.22°, β = 100.57°, γ = 90.00°
Last column: magnetic moment on the atom in μB.
Sites, in units of the cell vectors:
Np  0.848  0.276  0.696  4.15
Np  0.152  0.724  0.304  4.15
I  0.638  0.964  0.277  -0.05
I  0.001  0.779  0.002  -0.05
I  0.999  0.221  0.998  -0.05
I  0.362  0.036  0.723  -0.05
I  0.757  0.701  0.513  -0.04
I  0.243  0.299  0.487  -0.04
I  0.603  0.531  0.205  -0.05
I  0.397  0.469  0.795  -0.05
Pu  0.500  0.000  0.000  5.51

VASP energy = -62.6 eV for the cell shown
Formation energy without anion corrections = -0.91 eV per atom


No. 4
Material: P2PdPb2
Method: DFT, PBE
State: optimized geometry

a = 6.352 Å, b = 6.352 Å, c = 5.352 Å
α = 90.00°, β = 90.00°, γ = 90.00°
Sites, in units of the cell vectors:
P  0.877  0.623  0.000
P  0.123  0.377  0.000
P  0.377  0.877  0.000
P  0.623  0.123  0.000
Pd  0.000  0.000  0.000
Pd  0.500  0.500  0.000
Pb  0.193  0.693  0.500
Pb  0.807  0.307  0.500
Pb  0.307  0.193  0.500
Pb  0.693  0.807  0.500

VASP energy = -47.2 eV for the cell shown
Calculated formation energy = -0.033 eV/atom


# 1
PmGdHg2: relaxed, PBE.

a b c (Å): 5.347 5.347 5.347
angles (deg): 60.00 60.00 60.00
Fractional positions:
Pm 0.000 0.000 0.000
Gd 0.500 0.500 0.500
Hg 0.250 0.250 0.250
Hg 0.750 0.750 0.750

E_form   -0.49 eV/atom

***

# 2
Pm2GdHg: relaxed, PBE.

a b c (Å): 3.715 3.715 8.877
angles (deg): 90.00 90.00 90.00
Fractional positions:
Pm 0.000 0.000 0.223
Pm 0.000 0.000 0.777
Gd 0.500 0.500 0.500
Hg 0.500 0.500 0.000

E_form   -0.22 eV/atom
Offset from the most stable computed form   0 meV per atom

***

# 3
Pm2GdHg: relaxed, PBE.

a b c (Å): 11.037 11.037 11.037
angles (deg): 19.14 19.14 19.14
Fractional positions:
Pm 0.243 0.243 0.243
Pm 0.757 0.757 0.757
Gd 0.000 0.000 0.000
Hg 0.500 0.500 0.500

E_form   -0.14 eV/atom
Offset from the most stable computed form   81 meV per atom

***

# 4
Pm2GdHg: relaxed, PBE.

a b c (Å): 4.905 4.905 4.874
angles (deg): 90.00 90.00 90.00
Fractional positions:
Pm 0.000 0.500 0.000
Pm 0.500 0.000 0.000
Gd 0.000 0.000 0.500
Hg 0.500 0.500 0.500

E_form   -0.18 eV/atom
Offset from the most stable computed form   42 meV per atom

***

# 5
Pm2GdHg: relaxed, PBE.

a b c (Å): 5.495 5.495 5.495
angles (deg): 60.00 60.00 60.00
Fractional positions:
Pm 0.250 0.250 0.250
Pm 0.750 0.750 0.750
Gd 0.000 0.000 0.000
Hg 0.500 0.500 0.500

E_form   -0.09 eV/atom
Offset from the most stable computed form   130 meV per atom

***

# 6
PmPrGdHg: relaxed, PBE.

a b c (Å): 5.528 5.528 5.528
angles (deg): 60.00 60.00 60.00
Fractional positions:
Pm 0.000 0.000 0.000
Pr 0.500 0.500 0.500
=====

Here it is.
VASP energy = -44.6 eV for the cell shown
Calculated formation energy = -0.568 eV/atom


No. 2
Material: KMn2PbBr8